Request =
Transcribe only the lines below with the word "natural" in them, please.
File =
____________
# 1
Here is a cluster of 2 separate species, C5H8NO in total at a distorted geometry from the OMol25 dataset. Energies are from ωB97M-V/def2-TZVPD.

## Properties
Net charge   +1
Relative energy (zero: lowest compared OMol25 entry of this formula, charge and spin)   654.0 kJ/mol
LUMO level (alpha / beta)   -5.5350 / -7.3227 eV
HOMO-LUMO gap (alpha / beta)   10.036 / 5.776 eV
Spin multiplicity   1
HOMO level (alpha / beta)   -15.6 / -13.1 eV

CARTESIAN COORDINATES (ANGSTROEM)
C: 0.36 -2.96 2.75
C: 0.29 1.60 -1.59
C: -0.18 0.73 -0.52
C: 0.45 -2.19 1.67
C: -0.56 2.50 -2.26
N: 0.66 -0.03 0.12
O: -0.03 -0.92 1.66
H: 0.59 -4.08 2.82
H: -0.11 -2.72 3.70
H: 1.32 1.51 -1.65
H: -1.24 0.89 -0.07
H: 1.04 -2.51 0.87
H: -1.01 1.90 -3.21
H: -1.39 2.91 -1.62
H: -0.17 3.36 -2.67

Charges obtained by natural (NBO) population analysis, quoted in units of e:
1 C -0.16
2 C -0.01
3 C -0.09
4 C 0.20
5 C -0.69
6 N 0.03
7 O -0.27
8 H 0.25
9 H 0.24
10 H 0.22
11 H 0.28
12 H 0.21
13 H 0.28
14 H 0.25
15 H 0.26

---

# 2
Here is an isolated molecule of C6H9N from the OMol25 dataset. Energies are from ωB97M-V/def2-TZVPD.

## Properties
SMILES string   C=C1NC=C[C@H]1C
Relative energy (zero: lowest compared OMol25 entry of this formula, charge and spin)   153.9 kJ/mol
LUMO level   1.1045 eV
HOMO-LUMO gap   8.703 eV
Spin multiplicity   1
HOMO level   -7.6 eV

CARTESIAN COORDINATES (ANGSTROEM)
C: 1.24 1.64 0.17
C: 0.75 0.41 0.38
N: 1.19 -0.66 1.18
C: 0.13 -1.58 1.31
C: -0.84 -1.33 0.42
C: -0.34 -0.23 -0.46
C: -1.26 0.59 -1.34
H: 0.63 2.34 -0.38
H: 2.25 1.96 0.41
H: 1.85 -0.53 1.92
H: 0.22 -2.40 2.00
H: -1.77 -1.88 0.31
H: 0.42 -0.68 -1.13
H: -2.02 -0.07 -1.78
H: -0.67 1.00 -2.17
H: -1.77 1.42 -0.84

Charges obtained by natural (NBO) population analysis, quoted in units of e:
1 C -0.54
2 C 0.22
3 N -0.61
4 C -0.01
5 C -0.28
6 C -0.29
7 C -0.60
8 H 0.21
9 H 0.20
10 H 0.40
11 H 0.21
12 H 0.22
13 H 0.22
14 H 0.22
15 H 0.22
16 H 0.21

---

# 3
Here is a structure of composition C54H41BrF5N11O4PSeSn at a distorted geometry from the OMol25 dataset. Energies are from ωB97M-V/def2-TZVPD.

## Properties
Net charge   +1
Relative energy (zero: lowest compared OMol25 entry of this formula, charge and spin)   0.0 kJ/mol
LUMO level   -3.3412 eV
HOMO-LUMO gap   5.792 eV
Spin multiplicity   1
HOMO level   -9.1 eV

CARTESIAN COORDINATES (ANGSTROEM)
Sn: -1.33 -0.65 0.69
F: -5.68 -4.58 6.51
C: -4.75 -4.33 5.59
C: -4.05 -5.37 4.98
F: -4.28 -6.63 5.33
C: -3.10 -5.08 4.00
F: -2.42 -6.10 3.49
C: -2.84 -3.78 3.58
P: -1.70 -3.34 2.16
C: -0.10 -3.82 2.85
C: 0.89 -4.16 1.93
C: 2.18 -4.39 2.35
C: 2.50 -4.24 3.69
C: 1.53 -3.87 4.61
C: 0.23 -3.67 4.19
C: -2.03 -4.67 0.95
C: -2.84 -4.31 -0.13
C: -3.05 -5.17 -1.18
C: -2.47 -6.43 -1.17
C: -1.66 -6.80 -0.11
C: -1.42 -5.93 0.94
C: -3.53 -2.76 4.23
Br: -3.20 -0.93 3.85
C: -4.47 -3.03 5.21
F: -5.13 -2.02 5.80
H: 0.63 -4.23 0.88
H: 2.94 -4.64 1.63
H: 3.52 -4.41 4.02
H: 1.80 -3.73 5.64
H: -0.54 -3.39 4.91
H: -3.27 -3.32 -0.13
H: -3.66 -4.86 -2.01
H: -2.64 -7.11 -1.99
H: -1.20 -7.78 -0.09
H: -0.77 -6.22 1.75
O: -2.02 2.30 1.37
C: -1.74 2.90 2.60
C: -0.83 2.11 3.51
C: -0.35 2.71 4.68
C: 0.47 1.98 5.51
C: 0.79 0.67 5.17
C: 0.26 0.16 3.99
N: -0.53 0.86 3.18
H: -1.18 2.08 0.94
H: -2.71 3.03 3.11
H: -1.30 3.90 2.45
H: -0.62 3.72 4.92
H: 0.86 2.42 6.42
H: 1.43 0.07 5.79
H: 0.48 -0.85 3.68
C: 6.39 2.31 0.35
C: 5.68 1.56 -0.76
N: 4.24 1.56 -0.56
C: 3.72 0.56 0.20
C: 2.40 0.39 0.50
C: 2.02 -0.82 1.38
O: 2.92 -1.29 2.06
O: 0.83 -1.22 1.31
C: 1.46 1.34 0.01
O: 0.23 1.31 0.16
C: 2.04 2.47 -0.72
C: 1.19 3.50 -1.14
C: 1.67 4.57 -1.84
F: 0.77 5.53 -2.17
C: 3.02 4.68 -2.18
C: 3.87 3.66 -1.75
C: 3.42 2.56 -1.01
N: 3.54 5.72 -2.97
C: 4.73 6.43 -2.54
C: 5.56 6.76 -3.80
N: 4.64 6.80 -4.97
C: 3.40 7.52 -4.61
C: 2.61 6.65 -3.61
H: 7.46 2.32 0.16
H: 6.22 1.82 1.30
H: 6.03 3.33 0.43
H: 6.00 0.51 -0.78
H: 5.90 1.99 -1.74
H: 4.41 -0.16 0.60
H: 0.14 3.44 -0.88
H: 4.92 3.73 -2.00
H: 5.31 5.82 -1.86
H: 4.46 7.36 -2.02
H: 6.33 6.01 -3.99
H: 6.04 7.74 -3.70
H: 4.37 5.83 -5.20
____________
Solution =
Charges obtained by natural (NBO) population analysis, quoted in units of e:
Charges obtained by natural (NBO) population analysis, quoted in units of e: